_Excerpt_
┌──
DFT (ωB97M-V with the def2-TZVPD basis set) results for a cluster of 12 separate species, C48H107N2O13 in total at a distorted geometry.

Last columns: bonded neighbours and bond lengths (Å).
Element x y z (Å)
1 C 2.555 -1.677 3.032  C2 1.555, H20 1.095, H21 1.098, H22 1.097
2 C 2.500 -1.729 1.479  C1 1.555, C3 1.536, H23 1.099, H24 1.098
3 C 1.354 -0.913 0.865  C2 1.536, O4 1.454, H25 1.099, H26 1.103
4 O 1.364 0.466 1.328  C3 1.454, C5 1.383
5 C 0.336 0.703 2.223  O4 1.383, N6 1.489, H27 1.096, H28 1.102
6 N -0.923 0.981 1.479  C5 1.489, C7 1.390, C10 1.312
7 C -0.879 1.527 0.202  N6 1.390, C8 1.360, H29 1.080
8 C -2.193 1.627 -0.132  C7 1.360, N9 1.373, H30 1.083
9 N -2.959 1.147 0.901  C8 1.373, C10 1.339, H31 1.011
10 C -2.148 0.756 1.893  N6 1.312, N9 1.339, C11 1.497
11 C -2.608 0.168 3.190  C10 1.497, C12 1.556, H32 1.099, H33 1.097
12 C -3.486 -1.088 2.922  C11 1.556, O13 1.207, C14 1.526
13 O -4.661 -1.138 3.195  C12 1.207
14 C -2.704 -2.238 2.294  C12 1.526, C15 1.381, C19 1.392
15 C -3.028 -2.693 1.031  C14 1.381, C16 1.395, H34 1.090
16 C -2.249 -3.725 0.507  C15 1.395, C17 1.376, H35 1.089
17 C -1.205 -4.230 1.246  C16 1.376, C18 1.386, H36 1.101
18 C -0.879 -3.762 2.510  C17 1.386, C19 1.385, H37 1.088
19 C -1.651 -2.747 3.048  C14 1.392, C18 1.385, H38 1.090
20 H 2.102 -0.783 3.472  C1 1.095
21 H 3.615 -1.682 3.317  C1 1.098
22 H 2.138 -2.608 3.436  C1 1.097
23 H 3.434 -1.319 1.071  C2 1.099
24 H 2.354 -2.773 1.172  C2 1.098
25 H 1.502 -0.863 -0.224  C3 1.099
26 H 0.382 -1.393 1.065  C3 1.103
27 H 0.216 -0.117 2.941  C5 1.096
28 H 0.598 1.621 2.774  C5 1.102
29 H -0.033 1.824 -0.401  C7 1.080
30 H -2.646 2.026 -1.031  C8 1.083
31 H -3.966 1.089 0.969  N9 1.011
32 H -1.701 -0.150 3.722  C11 1.099
33 H -3.134 0.879 3.838  C11 1.097
34 H -3.845 -2.250 0.461  C15 1.090
35 H -2.498 -4.093 -0.487  C16 1.089
36 H -0.572 -5.029 0.830  C17 1.101
37 H -0.039 -4.134 3.093  C18 1.088
38 H -1.448 -2.347 4.042  C19 1.090
39 C -2.918 5.281 5.845  C40 1.520, H43 1.094, H44 1.090, H45 1.091
40 C -1.637 4.718 5.250  C39 1.520, C41 1.521, O42 1.428, H46 1.090
41 C -1.872 4.160 3.855  C40 1.521, H47 1.097, H48 1.093, H49 1.091
42 O -1.127 3.689 6.098  C40 1.428, H50 0.963
43 H -3.678 4.500 5.938  C39 1.094
44 H -2.735 5.669 6.847  C39 1.090
45 H -3.321 6.086 5.228  C39 1.091
46 H -0.878 5.500 5.207  C40 1.090
47 H -2.599 3.340 3.885  C41 1.097
48 H -0.944 3.752 3.447  C41 1.093
49 H -2.243 4.929 3.176  C41 1.091
50 H -1.790 2.991 6.147  O42 0.963
51 C 0.351 -8.767 -1.704  C52 1.517, H55 1.094, H56 1.091, H57 1.089
52 C 0.079 -7.307 -1.393  C51 1.517, C53 1.520, O54 1.433, H58 1.091
53 C 0.743 -6.396 -2.413  C52 1.520, H59 1.094, H60 1.093, H61 1.091
54 O 0.561 -6.992 -0.081  C52 1.433, H62 0.963
55 H 1.424 -8.980 -1.672  C51 1.094
56 H -0.122 -9.413 -0.963  C51 1.091
57 H -0.026 -9.032 -2.691  C51 1.089
58 H -0.997 -7.129 -1.387  C52 1.091
59 H 1.829 -6.529 -2.401  C53 1.094
60 H 0.548 -5.347 -2.176  C53 1.093
61 H 0.378 -6.602 -3.419  C53 1.091
62 H 1.512 -7.145 -0.069  O54 0.963
63 C -3.571 -6.603 -4.428  C64 1.521, H67 1.094, H68 1.092, H69 1.091
64 C -2.286 -7.118 -5.059  C63 1.521, C65 1.520, O66 1.430, H70 1.092
65 C -2.523 -7.595 -6.483  C64 1.520, H71 1.093, H72 1.091, H73 1.090
66 O -1.762 -8.191 -4.271  C64 1.430, H74 0.964
67 H -4.322 -7.397 -4.380  C63 1.094
68 H -3.390 -6.272 -3.404  C63 1.092
69 H -3.984 -5.768 -4.997  C63 1.091
70 H -1.534 -6.326 -5.057  C64 1.092
71 H -3.240 -8.419 -6.502  C65 1.093
72 H -1.596 -7.969 -6.920  C65 1.091
73 H -2.904 -6.790 -7.112  C65 1.090
74 H -2.417 -8.898 -4.264  O66 0.964
75 C 1.314 5.219 1.713  C76 1.519, H79 1.097, H80 1.090, H81 1.089
76 C 2.589 4.670 1.096  C75 1.519, C77 1.517, O78 1.433, H82 1.091
77 C 2.340 4.149 -0.307  C76 1.517, H83 1.094, H84 1.092, H85 1.089
78 O 3.105 3.611 1.912  C76 1.433, H86 0.963
79 H 0.552 4.433 1.788  C75 1.097
80 H 1.502 5.580 2.723  C75 1.090
81 H 0.911 6.039 1.120  C75 1.089
82 H 3.350 5.451 1.071  C76 1.091
└──
_Exercise_
The reader should start at the top of the material above and write out each line, ending with the one that has "H69 1.091".
_Solution_
DFT (ωB97M-V with the def2-TZVPD basis set) results for a cluster of 12 separate species, C48H107N2O13 in total at a distorted geometry.

Last columns: bonded neighbours and bond lengths (Å).
Element x y z (Å)
1 C 2.555 -1.677 3.032  C2 1.555, H20 1.095, H21 1.098, H22 1.097
2 C 2.500 -1.729 1.479  C1 1.555, C3 1.536, H23 1.099, H24 1.098
3 C 1.354 -0.913 0.865  C2 1.536, O4 1.454, H25 1.099, H26 1.103
4 O 1.364 0.466 1.328  C3 1.454, C5 1.383
5 C 0.336 0.703 2.223  O4 1.383, N6 1.489, H27 1.096, H28 1.102
6 N -0.923 0.981 1.479  C5 1.489, C7 1.390, C10 1.312
7 C -0.879 1.527 0.202  N6 1.390, C8 1.360, H29 1.080
8 C -2.193 1.627 -0.132  C7 1.360, N9 1.373, H30 1.083
9 N -2.959 1.147 0.901  C8 1.373, C10 1.339, H31 1.011
10 C -2.148 0.756 1.893  N6 1.312, N9 1.339, C11 1.497
11 C -2.608 0.168 3.190  C10 1.497, C12 1.556, H32 1.099, H33 1.097
12 C -3.486 -1.088 2.922  C11 1.556, O13 1.207, C14 1.526
13 O -4.661 -1.138 3.195  C12 1.207
14 C -2.704 -2.238 2.294  C12 1.526, C15 1.381, C19 1.392
15 C -3.028 -2.693 1.031  C14 1.381, C16 1.395, H34 1.090
16 C -2.249 -3.725 0.507  C15 1.395, C17 1.376, H35 1.089
17 C -1.205 -4.230 1.246  C16 1.376, C18 1.386, H36 1.101
18 C -0.879 -3.762 2.510  C17 1.386, C19 1.385, H37 1.088
19 C -1.651 -2.747 3.048  C14 1.392, C18 1.385, H38 1.090
20 H 2.102 -0.783 3.472  C1 1.095
21 H 3.615 -1.682 3.317  C1 1.098
22 H 2.138 -2.608 3.436  C1 1.097
23 H 3.434 -1.319 1.071  C2 1.099
24 H 2.354 -2.773 1.172  C2 1.098
25 H 1.502 -0.863 -0.224  C3 1.099
26 H 0.382 -1.393 1.065  C3 1.103
27 H 0.216 -0.117 2.941  C5 1.096
28 H 0.598 1.621 2.774  C5 1.102
29 H -0.033 1.824 -0.401  C7 1.080
30 H -2.646 2.026 -1.031  C8 1.083
31 H -3.966 1.089 0.969  N9 1.011
32 H -1.701 -0.150 3.722  C11 1.099
33 H -3.134 0.879 3.838  C11 1.097
34 H -3.845 -2.250 0.461  C15 1.090
35 H -2.498 -4.093 -0.487  C16 1.089
36 H -0.572 -5.029 0.830  C17 1.101
37 H -0.039 -4.134 3.093  C18 1.088
38 H -1.448 -2.347 4.042  C19 1.090
39 C -2.918 5.281 5.845  C40 1.520, H43 1.094, H44 1.090, H45 1.091
40 C -1.637 4.718 5.250  C39 1.520, C41 1.521, O42 1.428, H46 1.090
41 C -1.872 4.160 3.855  C40 1.521, H47 1.097, H48 1.093, H49 1.091
42 O -1.127 3.689 6.098  C40 1.428, H50 0.963
43 H -3.678 4.500 5.938  C39 1.094
44 H -2.735 5.669 6.847  C39 1.090
45 H -3.321 6.086 5.228  C39 1.091
46 H -0.878 5.500 5.207  C40 1.090
47 H -2.599 3.340 3.885  C41 1.097
48 H -0.944 3.752 3.447  C41 1.093
49 H -2.243 4.929 3.176  C41 1.091
50 H -1.790 2.991 6.147  O42 0.963
51 C 0.351 -8.767 -1.704  C52 1.517, H55 1.094, H56 1.091, H57 1.089
52 C 0.079 -7.307 -1.393  C51 1.517, C53 1.520, O54 1.433, H58 1.091
53 C 0.743 -6.396 -2.413  C52 1.520, H59 1.094, H60 1.093, H61 1.091
54 O 0.561 -6.992 -0.081  C52 1.433, H62 0.963
55 H 1.424 -8.980 -1.672  C51 1.094
56 H -0.122 -9.413 -0.963  C51 1.091
57 H -0.026 -9.032 -2.691  C51 1.089
58 H -0.997 -7.129 -1.387  C52 1.091
59 H 1.829 -6.529 -2.401  C53 1.094
60 H 0.548 -5.347 -2.176  C53 1.093
61 H 0.378 -6.602 -3.419  C53 1.091
62 H 1.512 -7.145 -0.069  O54 0.963
63 C -3.571 -6.603 -4.428  C64 1.521, H67 1.094, H68 1.092, H69 1.091